• Source:
<<<
The following is a quantum chemistry calculation of C22H20F4IrN9O2S as an isolated structure, from the OMol25 dataset.

Element x y z (Å)
Ir1 -0.3472 0.8745 0.4942
C1 0.2408 3.6227 -0.6331
N1 0.9553 2.3924 -0.2021
C2 1.9228 2.8044 0.8507
C3 1.6567 1.7968 -1.3677
C4 2.0874 0.4020 -0.9839
N2 0.9111 -0.2556 -0.4019
C5 0.8706 -1.6438 -0.3040
C6 -0.3408 -2.3324 -0.4898
F1 -1.4208 -1.6802 -0.9206
C7 -0.4225 -3.6967 -0.3146
F2 -1.6000 -4.2908 -0.4930
C8 0.6950 -4.4429 0.0067
C9 1.9055 -3.7916 0.1182
F3 3.0075 -4.4770 0.3934
C10 2.0118 -2.4221 -0.0503
F4 3.2116 -1.8685 0.0410
H1 0.9776 4.3587 -0.9594
H2 -0.3114 4.0269 0.2138
H3 -0.4468 3.3948 -1.4380
H4 2.5986 3.5560 0.4373
H5 2.4840 1.9517 1.2116
H6 1.3679 3.2398 1.6797
H7 2.5029 2.4202 -1.6610
H8 0.9381 1.7548 -2.1861
H9 2.8848 0.4075 -0.2401
H10 2.4190 -0.1733 -1.8481
H11 0.6294 -5.5140 0.1375
N3 2.6319 2.9364 7.9661
C11 2.4100 2.2188 6.8326
C12 3.3065 2.2840 5.7558
C13 3.0723 1.5624 4.6048
C14 1.9369 0.7649 4.5068
C15 1.0416 0.6770 5.5708
C16 1.2707 1.4028 6.7160
S1 1.6955 -0.1881 3.0702
O1 2.6928 0.1992 2.1060
O2 1.5384 -1.5756 3.3823
N4 0.2498 0.3370 2.4096
C17 -0.9108 -0.3536 2.6883
N5 -1.6675 -0.3175 1.5647
C18 -2.8491 -0.9337 1.5340
C19 -3.2795 -1.5935 2.6646
C20 -2.4596 -1.5326 3.7884
N6 -1.2855 -0.9053 3.8209
H12 3.4833 3.4518 8.0882
H13 2.0353 2.8303 8.7650
H14 4.1934 2.8999 5.8342
H15 3.7724 1.6085 3.7820
H16 0.1747 0.0324 5.5024
H17 0.5748 1.3391 7.5431
H18 -3.4202 -0.8788 0.6171
H19 -4.2243 -2.1139 2.6848
H20 -2.7722 -1.9986 4.7155
N7 -1.6001 1.3972 -0.9747
C21 -2.5194 1.0423 -1.6378
N8 -3.4048 0.7066 -2.4302
C22 -4.6892 0.4661 -2.2204
N9 -5.8147 0.2599 -2.0798

Calculated values
**E**: -2395.326494 a.u.
**Total charge**: +1
**HOMO (spin up / spin down)**: -10.74 / -10.74 eV
**⟨S²⟩**: 0.774
**Energy relative to the best compared isomer or geometry (same formula, charge and spin)**: 0.491 eV
**Strongest force on any atom**: 0.45 eV Å⁻¹
**Spin multiplicity**: 2

Atom charges from the Löwdin analysis, given in e for atoms 1 to 6: atom 1 (Ir): 1.512, atom 2 (C): -0.070, atom 3 (N): -0.392, atom 4 (C): -0.054, atom 5 (C): -0.155, atom 6 (C): -0.143


Computed, not measured: a 3-piece molecular cluster, C4H14O3 overall in a non-equilibrium geometry, with ωB97M-V with the def2-TZVPD basis set.

CARTESIAN COORDINATES (ANGSTROEM)
C: 1.073 1.950 -1.398
C: 0.389 0.709 -0.859
C: -1.192 0.996 -0.575
C: -1.861 -0.279 0.321
O: -3.259 -0.377 0.311
H: 0.934 2.928 -0.949
H: 2.191 1.763 -1.237
H: 0.503 2.282 -2.455
H: 1.000 0.483 0.186
H: 0.555 -0.234 -1.496
H: -1.824 1.102 -1.467
H: -1.347 1.861 0.019
H: -1.512 -1.290 -0.152
H: -1.575 -0.093 1.422
H: -3.522 -0.641 -0.613
O: 0.649 -1.660 1.612
H: 1.241 -1.198 1.087
H: 1.314 -1.982 2.334
O: 3.225 -0.946 0.408
H: 3.016 -0.047 0.215
H: 3.641 -1.322 -0.481

Results
LUMO	0.4	eV
E_HOMO	-9.481	eV
E_tot	-10515.0032	eV
ΔE to the lowest compared entry with this formula, charge and spin	282.3	kJ/mol
gap between HOMO and LUMO	9.9	eV
SMILES	CCCCO.O.O

Computed, not measured: C5H13OP in the gas phase in a non-equilibrium geometry, with ωB97M-V with the def2-TZVPD basis set.

CARTESIAN COORDINATES (ANGSTROEM)
C: 0.539 -2.317 -0.703
P: 0.842 -0.991 0.459
O: 0.913 -1.475 2.559
C: -0.166 0.476 0.131
C: 0.091 0.841 -1.354
C: -1.611 0.260 0.495
C: 0.383 1.631 0.932
H: 0.461 -2.019 -1.749
H: 1.186 -3.057 -0.673
H: -0.463 -2.693 -0.471
H: 2.045 -0.474 -0.075
H: -0.491 0.182 -1.957
H: -0.353 1.874 -1.563
H: 1.203 1.161 -1.565
H: -1.701 -0.362 1.437
H: -2.262 -0.124 -0.361
H: -1.995 1.215 1.057
H: -0.313 2.554 0.703
H: 0.274 1.507 1.982
H: 1.417 1.808 0.715

Results
LUMO (spin up / spin down)	0.5 / 0.5	eV
E_HOMO (spin up / spin down)	-8.758 / -8.758	eV
E_tot	-16727.5638	eV
ΔE to the lowest compared entry with this formula, charge and spin	453.9	kJ/mol
gap between HOMO and LUMO (spin up / spin down)	9.3 / 9.3	eV
SMILES	C[P@H](=O)C(C)(C)C
>>>

• Assignment:
Could you search the entries above for the word "CCCCO" and type out each line that has it?

• Outcome:
SMILES	CCCCO.O.O